ACTIVITIES [Clubs & Sports]

Please read the Daily AnnouNcements or Schoology for updated information on meeting times and clubs. Not all clubs have meeting times yet or are meeting this Trimester. The clubs that are on the Daily AnnouNcements or Schoology will provide you up-to date information about clubs that are meeting.

Clubs and Study Halls

Clubs and Study Halls will begin on Monday, August 19th. The clubs and study halls run from 2:30 PM-3:15 PM. Students do not need to sign up for clubs or study halls. Please check announcements for updated club meeting dates.

There will be buses available for students who qualify for bussing during the school year. If students are NOT a bus rider to and from school, they are unable to take the activity bus.

Please note that the office closes at 3:30 PM every day.

Be sure to know where study hall will be meeting that day! [Study Hall Locations]


Acceptance Club:  Join Acceptance Club to help create a safe, welcoming, and accepting school environment for LGBTQ+ students and allies in our school. Meet in Mrs. Pinta’s room 242 every Wednesday from 2:30-3:15, starting on August 28th.

After School Sports: After School Sports will be a chance for you to get together with other TG students to play a variety of sports and games including badminton, soccer, basketball, pickleball, volleyball, kickball, and more.  We are always open to ideas and suggestions for club activities as well!  All 6th, 7th, and 8th grade students are welcome to join us on Wednesdays during the activity period from 2:30-3:15.  Questions?  Please see Mrs. Degen or Mrs. Ruchim.  We look forward to seeing you there! We will meet Wednesdays from 2:30-3:15 starting August 28th.

Announcement Club:We are looking for students who would love to film weekly video announcements! There are roles for anchors and field agents. Join to be on the big screen updating TG about current events! See Ms. O'Rourke for details. [email protected]

Art Fair Club:  Calling all self motivated and independent 7th & 8th grade artists.  This club spends September to March creating personal pieces of artwork.  Artists will choose their own topics and processes/materials.  In March, the artists will share their work at an art show at Twin Groves in conjunction with the Music in Our Schools performance.  In order to accommodate orchestra and band students who have practice after school, the club will alternate meeting Wednesdays and Thursdays every week. Starts 8/29.  Click here for schedule for the year.

Aspiring Authors Club: If you like to write in your spare time, come to Aspiring Authors Club! Join us for fun writing contests, exciting prompts to spark new ideas, and time to work on your own stories. Meeting are held every Wednesday in Mrs. Huberty’s room 227. All grades are welcome!

Board Game Club: The Board Game Club will be a chance for you to get together with friends to play some classic board games.  We will also have a featured game each meeting which will be a chance to play something you probably never have before.   We will meet in room 208 on the first and third Wednesday day of each month starting on 9/4.

Book Club: Join Book Club! Each trimester, we will choose a popular, high interest and fun book to read as a group. At our meetings we will discuss what we’re liking about the book, things we are curious about and predictions we have for what comes next. We will also do some fun activities related to the book to bring the action alive and connect with the characters. Meet in the Collaboratory after school on WEDNESDAYS starting 9/11.

Card Game Club: Card game club is for enthusiasts to gather and indulge in various card games! You can socialize, improve your skills, and explore new and classic card games. We will meet every other Wednesday during the activity period in Ms. Schaefer’s room, 205, starting on 8/28. There is no sign up and all grades are welcome!

Molecular data, as found in the file:
- - -
The following is a DFT calculation (wB97M-V/def2-TZVPD) of a molecular structure, C2H6FNO2S2 at a distorted geometry.

LUMO energy: 0.12 eV
net charge: 0
Kohn-Sham gap: 10.7 eV
max |F|: 3.468 eV Å⁻¹

Cartesian coordinates (Å):
1 C -2.548 0.847 -0.872
2 C 2.360 -0.261 0.336
3 N -0.296 0.301 0.478
4 O 0.981 -0.137 2.604
5 O 0.491 -1.995 1.047
6 F -0.356 -0.190 -2.059
7 S -1.102 -0.504 -0.541
8 S 0.848 -0.614 1.266
9 H -2.769 0.821 -1.929
10 H -2.130 1.789 -0.553
11 H -3.384 0.540 -0.263
12 H 2.072 0.028 -0.667
13 H 2.884 0.544 0.834
14 H 2.947 -1.168 0.319



The following is a DFT calculation (wB97M-V/def2-TZVPD) of a molecular structure, C2H6FOSSn at a distorted geometry.

LUMO energy: -7.43 eV
net charge: +1
Kohn-Sham gap: 6.5 eV
max |F|: 3.492 eV Å⁻¹

Cartesian coordinates (Å):
1 Sn 16.331 0.188 20.655
2 F 19.118 -0.610 20.317
3 C 12.411 2.314 23.823
4 S 13.022 0.605 23.554
5 O 14.163 0.860 22.531
6 C 13.964 0.552 25.122
7 H 12.045 2.868 22.959
8 H 13.215 2.857 24.321
9 H 11.670 2.438 24.613
10 H 14.941 0.882 24.772
11 H 14.107 -0.461 25.498
12 H 13.446 1.206 25.824



The following is a DFT calculation (wB97M-V/def2-TZVPD) of 2 unconnected molecules or ions with the total composition C2H6FP at a distorted geometry.

LUMO energy: 0.32 eV
SMILES string: C=PC.F
net charge: 0
Kohn-Sham gap: 10.0 eV
max |F|: 5.229 eV Å⁻¹

Cartesian coordinates (Å):
1 C 0.302 1.190 -0.864
2 P 0.965 1.013 0.613
3 C 1.226 -0.911 0.694
4 H 0.099 2.129 -1.183
5 H 0.024 0.400 -1.389
6 H 0.237 -1.381 0.881
7 H 1.860 -1.103 1.443
8 H 1.823 -1.198 -0.314
9 F -3.558 0.174 0.365
10 H -2.979 -0.313 -0.248



The following is a DFT calculation (wB97M-V/def2-TZVPD) of a molecular structure, C2H6FP at a distorted geometry.

LUMO energy: 0.23 eV
net charge: 0
Kohn-Sham gap: 10.3 eV
max |F|: 4.113 eV Å⁻¹

Cartesian coordinates (Å):
1 C 1.758 0.772 -0.267
2 C 1.254 -0.476 -0.186
3 F 2.010 -1.594 -0.415
4 P -2.248 0.352 -0.059
5 H 2.607 1.024 -0.941
6 H -1.221 -0.424 1.229
7 H 1.058 1.615 -0.275
8 H 0.489 -0.530 0.604
9 H -3.431 0.285 0.602
10 H -2.278 -1.023 -0.293



The following is a DFT calculation (wB97M-V/def2-TZVPD) of a molecular structure, C2H6FP at a distorted geometry.

LUMO energy: 0.72 eV
net charge: 0
Kohn-Sham gap: 9.7 eV
max |F|: 3.721 eV Å⁻¹

Cartesian coordinates (Å):
1 C 0.884 -1.105 0.419
2 C -0.609 1.359 -0.495
3 F 0.609 1.714 -0.907
4 P -0.780 -0.984 -0.347
5 H 1.249 -2.121 0.324
6 H 0.958 -0.806 1.557
7 H 1.470 -0.412 -0.239
8 H -1.248 1.342 -1.309
9 H -0.874 2.029 0.329
10 H -1.661 -1.015 0.668



The following is a DFT calculation (wB97M-V/def2-TZVPD) of C2H6FPS2 in the gas phase at a distorted geometry.

LUMO energy: -0.05 eV
SMILES string: CC[P@@](F)(=S)S
net charge: 0
Kohn-Sham gap: 9.5 eV
max |F|: 4.133 eV Å⁻¹

Cartesian coordinates (Å):
1 C -0.667 0.218 -1.048
2 C 0.451 -0.066 -0.037
3 P -0.441 -0.400 1.608
4 F -0.967 1.077 2.073
5 S -1.778 -1.780 1.707
6 S 1.476 -0.465 3.025
7 H -1.115 -0.721 -1.442
8 H -1.359 0.881 -0.416
9 H -0.225 0.677 -1.871
- - -

Catalyst Club: Catalyst is a leadership group dedicated to supporting and encouraging a drug- and alcohol-free lifestyle for the youth in our community. Students can come and learn more about making positive decisions that will affect our community.  Help build school spirit the drug-free way.  Meetings typically meet once a month on Wednesdays beginning in September. Open to ALL students.

Chess Club: Chess Club meets Mondays and Thursdays from 3:15 - 4:45 PM during the months of November through February. We work on skills, Analyze games, and play in club tournaments throughout the season. Anyone can join the chess club as we have novice through advanced level players. By the end of the season our beginners are now becoming intermediate players and our more experienced players have gained skills in teaching others to play. The time flies by and everyone has fun.  Chess Club will start in mid-November.  Keep checking announcements for start date.

Chorus:  Do you like to sing? Come make music with your friends and have fun! No experience is needed! Scan the QR code on the fliers posted throughout the school to sign up. For 7th and 8th graders, our first rehearsal will be on Monday, August 26th from 2:30-3:15 PM in Room 43. For 6th graders who are interested, our first rehearsal will be on Thursday, August 29th from 2:30-3:15 PM in Room 43. Email Mr. Barrett with any questions! [email protected]

Craft Club:  Do you like making small crafts and projects?  Do you like to socialize with friends while being creative?  If you do, Craft Club is for you!  We will meet every other Thursday from 2:30-3:15pm in Room 55.  Bring a friend or two!  Our first meeting will be on Thursday, August 29th.

Culture Club:  Do you like learning about different cultures and traditions? Culture club is for you and is open to all students. We will meet Mondays from 2:30-3:15. We explore different cultures through crafts, games and food. Contact Mrs. Papson with any questions. Our first meeting will be on Monday, September 16th.

Dance Club: Be a part of the Twin Groves Dance Team and perform at halftime of the girls basketball games.  All sixth, seventh and eighth graders can try out.  Practices are Mondays - Thursdays from 3:15-4:30.  We typically have two games a week.  Season runs from September- early October.  Everyone MUST have a sports physical on file in order to participate

Debate Club: Debate Club will empower students to tactfully argue and debate matters in a structured setting against their peers. We will prepare to defend both sides of topics, even if one does not agree with the stance. Debates will be one team against another team. During practices, students will learn how to complete scholarly research, cooperate and work together, use quality evidence to back up claims, how to speak persuasively, learn debating steps and process, and how to use arguments in a logical and convincing manner. This is only a club, not a competition such as the Debate Team at SHS. At this level it’s not so much about “winning” but rather obtaining critical skills that will serve students well into their future. Daily announcements will inform when meetings will take place. All grades are welcome.  Mr. Dahlstrom in room 203. Starts Wednesday, September 11th.

FACS Club:  Who loves to cook! Join us for FACS club in the TASOL room. We will be trying out new recipes and learning different cooking techniques. Club for 7/8th grade will be on Wednesdays from 2:30-3:15 starting on 9/4. Sixth grade will start after Winter Break.

Guitar Club: If you play guitar, are looking to learn some basics, or simply want to rock, then guitar club is the place for you! This is a pretty self-explanatory club- we celebrate all things guitar. Whether you want to play, learn, or just talk about music, feel free to come on down! If this all sounds great but you don’t have a guitar or know how to play, no worries! The guitars are provided and ALL skill levels are welcome. We will meet weekly and the dates/location are TBA, so keep an eye out!

History Fair:  Become a student historian this year by joining History Fair.  This year's theme is Turning Points in History.  This year’s theme invites you to consider questions of time and place, cause and effect, change over time, and impact and significance. Students can work independently or in groups to create an inquiry project to compete in the regional fair in the spring.  We will meet once a week on Mondays starting August 28th.  We will meet from 2:30-3:15 in room 105.  Hope to see you there.

Jewelry Making Club: Join us in making a variety of different types of jewelry like bracelets, necklaces, bags and so much more. We will meet every other Monday beginning August 26th at 2:30-3:15 in Ms. Sabin’s room (220).

Lego Club:  If you like to use your imagination and build with Legos, this club is for you! We meet every Monday from 2:30-3:15 in Mrs. Huberty’s room 227. Students can join at any time during the year, and all grades are welcome to attend. Start date is August 28th.

Math Club: The Purpose of Math Club is to develop students’ level of Math skills and knowledge. Students will cooperatively work to complete Logic and Math Puzzles. Math Club will support classroom learning, enrich their skills with higher order thinking, and prepare students for future Math Competitions.  Math Club is open to all 6th, 7th, and 8th graders interested and we will meet every other Monday starting September 9th.

Meteorology, Weather and Astronomy Club: Do you enjoy or like to explore weather, weather patterns, satellite images, cloud formations, radar, or forecast maps?  How about hurricanes and other severe weather events?  Flight patterns around storms?  Maybe earthquakes, tsunamis, or oceanography?  Perhaps vulcanism?  Amazing space science and astronomy discoveries and images?  Look up your Sky View forecast!  We will explore, share, and “show and tell” a variety of fascinating links, information, resources, and Apps, including events in the news or other current happenings.  This club will meet on Wednesdays or Thursdays.  Drop in anytime, all grades are welcome.  Follow the announcements for meetings, or check in with Mr. Dahlstrom with any questions! Club start date will be September 5th in room 203.

Newspaper Club: Join the TG Times Team! This all student created school newspaper club determines all of the content that is shared with Twin Graves staff and students. We not only create written articles, but create digital content to share too! We publish three editions each year, once a trimester. Come check out all the interesting things that we have happening around Twin Groves and share that with everyone. We meet on Mondays in the Collaboratory starting 9/9.

Origami Club: Dive into the world of paper folding and discover how a simple sheet of paper can transform into incredible creations. Learn new techniques, share your masterpieces, and have fun with friends. Meetings are held on Thursdays in Mrs. Huberty’s room 227. All grades are welcome! Paper and project ideas will be provided.

Peer Buddies Club: Attention 7th graders! Come join us in participating in the Peer Buddy Program. This program is an opportunity for you to assist students with disabilities in building social skills, fitness skills, team-building skills, and friendships! What is a peer buddy? A peer buddy is a role model, friend, leader, and responsible peer. Come join us in creating a more inclusive community! This program will take place once a week during 7th grade FLEX.  See Mrs. Gustin in PE with questions.

Pickleball Club: Pickleball club is an opportunity to practice playing pickleball just for fun with other students in the building.  Students of any grade level  will learn the rules of the game, practice skills, and start playing the game with others.  Please listen to the announcements as we will be alternating club days between Wednesdays and Thursdays and there will be directions for sign ups.  If you have any questions, please reach out to Mr. Williams or Mrs. Koulentes. Starting Thursday, August 28th.

Puzzle Club: Come challenge yourself with a variety of puzzles and brain teasers every Thursday from 2:30-3:15 in Ms. Sabin’s room (220).

Scholastic Bowl: Interested in showing off your trivia knowledge? We want YOU on OUR state winning team! Scholastic Bowl is a quiz-based team competition that tests players on a wide variety of academic subjects: Science, Mathematics, Social Studies, Language Arts, Fine Arts, and a section for miscellaneous questions. Our season runs mid-February through May, with tryouts at the end of January. Tryouts are by subject area and will include both a written test and a practice round. Stay on the lookout for updates!

Science Club: Come to the Science Club, the first meeting is 8/28!! If you are interested in learning more about science and like STEM activities stop by next wednesday In Mr. Hedmarks room during activity period!!

Service Learning Club: f you would like to help others and give back to the community and world around you, this may be the club for you!  We will have different focuses throughout the year based on student interests.  We will meet on Wednesdays or Thursdays throughout the school year.  We may also meet on the weekends at various locations to volunteer with parent permission slips.  Please listen to the announcements to hear about our meetings. First meeting is Wednesday, August 28th.

Spirit Club: This club will be based on teacher recommendations.  Students will be asked to participate to help plan games, events, and assemblies which promote a positive culture and community at Twin Groves.  We are looking for students with strong leadership and organizational skills, creative ideas, and integrity. Sponsors are Mr. Williams, Ms. Baker and Mrs. Koulentes.

Spring Musical:  Have you ever wanted to perform on Broadway? Do you like to sing and dance? Come audition for the next best thing, the Twin Groves Spring Musical, tryout date TBD(watch the announcements after winter break! Starting in March, rehearsals will be in Mr. Barrett’s room 43. The show opens the first weekend in May, so we better see you all there. Be on the lookout for more information about auditions later this school year!  We will be giving out hints about the show every week in Choir!

Stock Market Club:  Come join this club and learn about corporations and companies and how they make money for their shareholders.  This club will look at charts/data and historical trends in order to determine a good time to buy and sell stocks/mutual funds.  You will also be competing in a virtual competition in which you get $100,000 to invest in stock and mutual funds.  This is a nationwide competition. The first meeting is Wednesday, August 28, and we will meet every other week.  Meeting time is 2:30-3:15 on Wednesday.

Student Leadership-6th Grade: We are looking for sixth graders interested in peer tutoring other students during Flex, as well as planning and teaching SEL lessons. YLP members must attend two meetings per month on Thursdays from 2:30-3:15 and maintain eligibility requirements. There will be an application in the announcements in October. Sponsor is Mrs. Didech, room 224.

Student Leadership-7th Grade: We are looking for seventh graders interested in peer tutoring other students during Flex, as well as planning and teaching SEL lessons. YLP members must attend two meetings per month on Thursdays from 2:30-3:15 and maintain eligibility requirements. Check morning announcements for application information.  Sponsor Ms. O'Rourke, room 210.

Student Leadership-8th Grade: Eighth graders interested in helping others should join YLP.  There will be opportunities to tutor fellow students and participate in community service to strengthen our Twin Groves community.  We will meet once a week on Wednesday from 2:30-3:15 in room 105.  Check morning announcements for application information. Sponsor is Ms. Leone, room 105.

Variety Show:  At the end of the school year, students are given the opportunity to share their talent with the school by submitting a video clip to the sponsors which is then added to the All-School Variety Show.  We have such a talented group of students!  In the past acts have included: art, singing, musical instruments, dance, magic, acting, etc.  Please reach out to the sponsors if you have any questions. Mrs. Didech, Mr. Williams and Mrs. Koulentes. 

Yearbook: Come be a part of the yearbook committee.  This is your chance to create your student-run yearbook for Twin Groves.  You will be responsible for taking pictures, creating pages in the yearbook, and editing your pages.  We will begin meeting on Mondays starting September 9th, once a week until the end of February.  See Mr. Leven for details.

Yoga & Mindfulness Club:  Please join us to relax, de-stress, have fun, and practice your yoga skills! We will meet on Wednesdays from 2:30-3:15pm in the weight room beginning January 15, 2025. You may join us at any point! Please see or email Mrs. Kugler at [email protected] with any questions.

General Information:

SPORTS 2024-2025 

To try-out/participate, students are required to have a current year physical on file with the nurse.

7th and 8th Grade Girls Basketball (fall) Girls Soccer (fall)
Boys Soccer (fall)              Cross Country (fall)                           
Wrestling (winter) Boys Volleyball (spring) 7th and 8th Grade Girls Volleyball (winter)

Scholastic Bowl (late fall)

7th and 8th Grade Boys Basketball (winter)
Dance Club (winter)   Track and Field (spring)

Twin Groves Sports Webpage